____________
1.
The following is a PBE-GGA calculation of a geometry-optimized Ta2CoTcOs structure, from the Alexandria database.

Properties
space-group type: P4/mmm, No. 123
volume: 20.2 Å³/atom
energy of formation from the pure elements: 1.5265 eV/atom
final energy: -8.955 eV/atom
total magnetic moment: 0.49 μB per atom

Cell: 4.7914 4.7914 4.4057 Å, 90.00 90.00 90.00°
With the nearest neighbours (Å) after each atom.
Element x y z (fractional)
Ta1 0.0000 0.5000 0.0000  2 Os 2.40
Ta2 0.5000 0.0000 0.0000  2 Os 2.40
Co1 0.0000 0.0000 0.5000  2 Os 2.20
Tc1 0.5000 0.5000 0.5000  8 Ta 3.25, 4 Co 3.39
Os1 0.0000 0.0000 0.0000  2 Co 2.20, 4 Ta 2.40

***

2.
The following is a PBE-GGA calculation of a geometry-optimized ThTaCoOs2 structure, from the Alexandria database.

Properties
space-group type: I-4m2, No. 119
volume: 19.1 Å³/atom
energy of formation from the pure elements: -0.0582 eV/atom
final energy: -9.826 eV/atom
total magnetic moment: 0.39 μB per atom

Cell: 4.0728 4.0728 11.4948 Å, 90.00 90.00 90.00°
With the nearest neighbours (Å) after each atom.
Element x y z (fractional)
Th1 0.0000 0.0000 0.0000  8 Os 3.15, 4 Ta 3.52, 4 Co 3.52
Th2 0.5000 0.5000 0.5000  8 Os 3.15, 4 Ta 3.52, 4 Co 3.52
Ta1 0.0000 0.5000 0.7500  4 Os 2.59, 4 Co 2.88
Ta2 0.5000 0.0000 0.2500  4 Os 2.59, 4 Co 2.88
Co1 0.0000 0.5000 0.2500  4 Os 2.59, 4 Ta 2.88
Co2 0.5000 0.0000 0.7500  4 Os 2.59, 4 Ta 2.88
Os1 0.0000 0.0000 0.3887  1 Os 2.56, 2 Ta 2.59, 2 Co 2.59
Os2 0.0000 0.0000 0.6113  1 Os 2.56, 2 Ta 2.59, 2 Co 2.59
Os3 0.5000 0.5000 0.1113  1 Os 2.56, 2 Ta 2.59, 2 Co 2.59
Os4 0.5000 0.5000 0.8887  1 Os 2.56, 2 Ta 2.59, 2 Co 2.59

***

3.
The following is a PBE-GGA calculation of a geometry-optimized Ta2Ti5Co2Os structure, from the Alexandria database.

Properties
space-group type: P4/mbm, No. 127
volume: 15.7 Å³/atom
energy of formation from the pure elements: -0.2464 eV/atom
final energy: -9.109 eV/atom
total magnetic moment: 0.00 μB per atom

Cell: 10.1357 10.1357 3.0484 Å, 90.00 90.00 90.00°
With the nearest neighbours (Å) after each atom.
Element x y z (fractional)
Ta1 0.1775 0.3225 0.0000  1 Co 2.79, 10 Ti 2.97-3.09, 2 Ta 3.05
Ta2 0.3225 0.8225 0.0000  1 Co 2.79, 10 Ti 2.97-3.09, 2 Ta 3.05
Ta3 0.6775 0.1775 0.0000  1 Co 2.79, 10 Ti 2.97-3.09, 2 Ta 3.05
Ta4 0.8225 0.6775 0.0000  1 Co 2.79, 10 Ti 2.97-3.09, 2 Ta 3.05
Ti1 0.0000 0.5000 0.5000  4 Co 2.39
Ti2 0.0587 0.7965 0.5000  2 Co 2.39, 2 Os 2.63
Ti3 0.2035 0.0587 0.5000  2 Co 2.39, 2 Os 2.63
Ti4 0.2965 0.5587 0.5000  2 Co 2.39, 2 Os 2.63
Ti5 0.4413 0.2965 0.5000  2 Co 2.39, 2 Os 2.63
Ti6 0.5000 0.0000 0.5000  4 Co 2.39
Ti7 0.5587 0.7035 0.5000  2 Co 2.39, 2 Os 2.63
Ti8 0.7035 0.4413 0.5000  2 Co 2.39, 2 Os 2.63
Ti9 0.7965 0.9413 0.5000  2 Co 2.39, 2 Os 2.63
Ti10 0.9413 0.2035 0.5000  2 Co 2.39, 2 Os 2.63
Co1 0.1280 0.6280 0.0000  6 Ti 2.39
Co2 0.3720 0.1280 0.0000  6 Ti 2.39
Co3 0.6280 0.8720 0.0000  6 Ti 2.39
Co4 0.8720 0.3720 0.0000  6 Ti 2.39
Os1 0.0000 0.0000 0.0000  8 Ti 2.63
Os2 0.5000 0.5000 0.0000  8 Ti 2.63

***

4.
The following is a PBE-GGA calculation of a geometry-optimized TaCo2OsW structure, from the Alexandria database.

Properties
space-group type: P4/mmm, No. 123
volume: 18.3 Å³/atom
energy of formation from the pure elements: 1.7569 eV/atom
final energy: -8.293 eV/atom
total magnetic moment: 0.43 μB per atom

Cell: 4.3641 4.3641 4.7971 Å, 90.00 90.00 90.00°
With the nearest neighbours (Å) after each atom.
Element x y z (fractional)
Ta1 0.0000 0.0000 0.0000  2 Os 2.40
Co1 0.0000 0.5000 0.5000  2 Os 2.18
Co2 0.5000 0.0000 0.5000  2 Os 2.18
Os1 0.0000 0.0000 0.5000  4 Co 2.18, 2 Ta 2.40
W1 0.5000 0.5000 0.0000  4 Ta 3.09, 8 Co 3.24

***

5.
The following is a PBE-GGA calculation of a geometry-optimized Ta2Co2Os5W structure, from the Alexandria database.

Properties
space-group type: P4/mbm, No. 127
volume: 14.8 Å³/atom
energy of formation from the pure elements: 0.0268 eV/atom
final energy: -10.675 eV/atom
total magnetic moment: 0.00 μB per atom
____________

It remains to print the listing earlier on from the line with "0.8225 0.0000" to the end unchanged.

Ta2 0.3225 0.8225 0.0000  1 Co 2.79, 10 Ti 2.97-3.09, 2 Ta 3.05
Ta3 0.6775 0.1775 0.0000  1 Co 2.79, 10 Ti 2.97-3.09, 2 Ta 3.05
Ta4 0.8225 0.6775 0.0000  1 Co 2.79, 10 Ti 2.97-3.09, 2 Ta 3.05
Ti1 0.0000 0.5000 0.5000  4 Co 2.39
Ti2 0.0587 0.7965 0.5000  2 Co 2.39, 2 Os 2.63
Ti3 0.2035 0.0587 0.5000  2 Co 2.39, 2 Os 2.63
Ti4 0.2965 0.5587 0.5000  2 Co 2.39, 2 Os 2.63
Ti5 0.4413 0.2965 0.5000  2 Co 2.39, 2 Os 2.63
Ti6 0.5000 0.0000 0.5000  4 Co 2.39
Ti7 0.5587 0.7035 0.5000  2 Co 2.39, 2 Os 2.63
Ti8 0.7035 0.4413 0.5000  2 Co 2.39, 2 Os 2.63
Ti9 0.7965 0.9413 0.5000  2 Co 2.39, 2 Os 2.63
Ti10 0.9413 0.2035 0.5000  2 Co 2.39, 2 Os 2.63
Co1 0.1280 0.6280 0.0000  6 Ti 2.39
Co2 0.3720 0.1280 0.0000  6 Ti 2.39
Co3 0.6280 0.8720 0.0000  6 Ti 2.39
Co4 0.8720 0.3720 0.0000  6 Ti 2.39
Os1 0.0000 0.0000 0.0000  8 Ti 2.63
Os2 0.5000 0.5000 0.0000  8 Ti 2.63

***

4.
The following is a PBE-GGA calculation of a geometry-optimized TaCo2OsW structure, from the Alexandria database.

Properties
space-group type: P4/mmm, No. 123
volume: 18.3 Å³/atom
energy of formation from the pure elements: 1.7569 eV/atom
final energy: -8.293 eV/atom
total magnetic moment: 0.43 μB per atom

Cell: 4.3641 4.3641 4.7971 Å, 90.00 90.00 90.00°
With the nearest neighbours (Å) after each atom.
Element x y z (fractional)
Ta1 0.0000 0.0000 0.0000  2 Os 2.40
Co1 0.0000 0.5000 0.5000  2 Os 2.18
Co2 0.5000 0.0000 0.5000  2 Os 2.18
Os1 0.0000 0.0000 0.5000  4 Co 2.18, 2 Ta 2.40
W1 0.5000 0.5000 0.0000  4 Ta 3.09, 8 Co 3.24

***

5.
The following is a PBE-GGA calculation of a geometry-optimized Ta2Co2Os5W structure, from the Alexandria database.

Properties
space-group type: P4/mbm, No. 127
volume: 14.8 Å³/atom
energy of formation from the pure elements: 0.0268 eV/atom
final energy: -10.675 eV/atom
total magnetic moment: 0.00 μB per atom